The ATO’s eligibility requirements
For SMSF trustees or directors
All members of a self-managed super fund (SMSF) must be individual trustees or directors of the fund’s corporate trustee. Anyone 18 years old or over can be a trustee or director of a super fund as long as they’re not under a legal disability (such as mental incapacity) or a disqualified person.
But other eligibility factors should not be overlooked. To knowingly act as a trustee, a trustee director or an office holder of a corporate trustee (such as secretary), while being a disqualified person, is an offence.
## Calculated crystals, as found in the file
+++
No. 1
Starting from a crystal structure in the Materials Project, relaxed with PBE, the X-ray diffraction stick pattern of PrSnPd was simulated for Cu Kα, 1.54184 Å.
Intensities are scaled so that the largest is 100.

Largest 12 diffraction maxima, by intensity, 2θ = 10–90°:
32.16°, I = 100.0; 38.48°, I = 61.5; 31.41°, I = 51.1; 37.97°, I = 44.7; 32.36°, I = 37.5; 37.19°, I = 31.4; 68.92°, I = 27.8; 61.97°, I = 27.3; 54.20°, I = 21.3; 50.73°, I = 21.2; 64.96°, I = 13.2; 87.33°, I = 11.0

Structure:
```
data_PrSnPd
_chemical_formula_sum 'Pr4 Sn4 Pd4'
_cell_length_a 7.602
_cell_length_b 4.739
_cell_length_c 8.069
_cell_angle_alpha 90.00
_cell_angle_beta 90.00
_cell_angle_gamma 90.00
_space_group_name_H-M_alt 'P 1'
_space_group_IT_number 1
loop_
_space_group_symop_operation_xyz
'x,y,z'
loop_
_atom_site_label
_atom_site_fract_x
_atom_site_fract_y
_atom_site_fract_z
Pr1 0.013 0.250 0.201
Pr2 0.487 0.750 0.701
Pr3 0.513 0.250 0.299
Pr4 0.987 0.750 0.799
Sn1 0.186 0.250 0.587
Sn2 0.314 0.750 0.087
Sn3 0.686 0.250 0.913
Sn4 0.814 0.750 0.413
Pd1 0.200 0.750 0.414
Pd2 0.300 0.250 0.914
Pd3 0.700 0.750 0.086
Pd4 0.800 0.250 0.586
```

No. 2
Starting from a crystal structure in the Materials Project, relaxed with PBE, the X-ray diffraction stick pattern of PdPt3 was simulated for Cu Kα, 1.54184 Å.
Intensities are scaled so that the largest is 100.

Largest 12 diffraction maxima, by intensity, 2θ = 10–90°:
39.29°, I = 100.0; 45.69°, I = 49.1; 80.15°, I = 38.6; 66.60°, I = 32.2; 84.50°, I = 11.4; 25.06°, I = 4.6; 22.40°, I = 1.5; 52.80°, I = 1.3; 40.98°, I = 1.3; 31.85°, I = 1.3; 63.03°, I = 1.2; 51.44°, I = 0.7

Structure:
```
data_PdPt3
_chemical_formula_sum 'Pd2 Pt6'
_cell_length_a 3.973
_cell_length_b 3.973
_cell_length_c 7.938
_cell_angle_alpha 90.00
_cell_angle_beta 90.00
_cell_angle_gamma 90.00
_space_group_name_H-M_alt 'P 1'
_space_group_IT_number 1
loop_
_space_group_symop_operation_xyz
'x,y,z'
loop_
_atom_site_label
_atom_site_fract_x
_atom_site_fract_y
_atom_site_fract_z
Pd1 0.000 0.000 0.000
Pd2 0.500 0.500 0.500
Pt1 0.000 0.000 0.500
Pt2 0.000 0.500 0.250
Pt3 0.000 0.500 0.750
Pt4 0.500 0.000 0.250
Pt5 0.500 0.000 0.750
Pt6 0.500 0.500 0.000
```

No. 3
Starting from a crystal structure in the Materials Project, relaxed with PBE, the X-ray diffraction stick pattern of Sc2PdPt was simulated for Cu Kα, 1.54184 Å.
Intensities are scaled so that the largest is 100.

Largest 12 diffraction maxima, by intensity, 2θ = 10–90°:
38.49°, I = 100.0; 26.95°, I = 36.8; 69.62°, I = 33.7; 55.56°, I = 16.9; 62.81°, I = 15.0; 47.61°, I = 11.1; 82.47°, I = 10.6; 23.29°, I = 10.5; 88.72°, I = 7.9; 45.47°, I = 5.9; 61.05°, I = 2.6; 87.16°, I = 2.1

Structure:
```
data_Sc2PdPt
_chemical_formula_sum 'Sc8 Pd4 Pt4'
_cell_length_a 6.616
_cell_length_b 6.616
_cell_length_c 6.616
_cell_angle_alpha 90.00
_cell_angle_beta 90.00
_cell_angle_gamma 90.00
_space_group_name_H-M_alt 'P 1'
_space_group_IT_number 1
loop_
_space_group_symop_operation_xyz
'x,y,z'
loop_
_atom_site_label
+++
To be sure you are not a disqualified person you need to be able to answer “no” to all of the following questions.
Have you ever been convicted of a dishonest offence, in any state, territory or a foreign country?
Offences of a dishonest conduct are things such as fraud, theft, illegal activity or dealings. These convictions are for offences that occurred at any time, including convictions that have been “spent” and those that the court has not recorded, due to age or being a first offender.
Have you ever been issued with a civil penalty order?
Civil penalty orders are imposed when an individual contravenes a civil penalty provision (this can be an order to pay a fine or serve jail time).
Are you currently bankrupt or insolvent under administration?
You cannot be a trustee of an SMSF while you are an undischarged bankrupt, and you cannot remain a trustee if you become bankrupt or insolvent after you are appointed.
Have you been previously disqualified by the ATO or APRA?
The Commissioner of Taxation, as the SMSF regulator, can disqualify a trustee, which is permanent and is not just specific to the SMSF you were a trustee of at the time. The Federal Court can make an order to disqualify a trustee of an APRA fund. This is permanent and this disqualification does not allow you to operate an SMSF.
The responsibilities
Whether you’re a trustee or director of a corporate trustee, you are responsible for running the fund and making decisions that affect the retirement interests of each fund member, including yourself.
As a trustee or director, you must:
- act honestly in all matters concerning the fund
- act in the best interests of all fund members when you make decisions
- manage the fund separately from your own superannuation affairs
- know, understand and meet your responsibilities and obligations
- ensure that the SMSF complies with the laws that apply to it.
All trustees and directors are equally responsible for managing the fund and making decisions. You are responsible for decisions made by other trustees, even if you’re not actively involved in making the decision.
You can appoint other people to help you or provide services to your fund (for example, an accountant, administrator, tax agent or financial planner). However, the ultimate responsibility and accountability for the SMSF’s actions lie with you, as trustee or director.
As an individual trustee or director of a corporate trustee, you may be personally liable to pay an administrative penalty if certain laws relating to SMSFs are not followed.
Other members of the fund can take action against you if you don’t follow the terms of the trust deed. Any fund member who suffers loss or damage because of a breach of any trustee duties may sue any person involved in the breach.
Contact our office with any questions regarding SMSF qualifications for trustees.